If sanctions enforcement is top of mind for the Department of Justice (DOJ) in the wake of Russia’s invasion of Ukraine, third-party risk management (TPRM) must be at the forefront of businesses’ priority lists.

After all, a company is responsible for the actions of its supplier on its behalf. And when those suppliers are using suppliers of their own to provide the services you’ve engaged them for, the risk landscape grows exponentially. Prudent businesses are determining what lines need to be drawn to protect themselves and preparing to exit relationships that pose more risk than they can tolerate.

The key to reaching those conclusions is understanding the criticality of your third parties, said Melanie Gallagher, head of TPRM at financial software company Intuit, at Compliance Week’s TPRM Summit held last week in Chicago. Critical third parties should be subject to extra due diligence during times of heightened scrutiny, she said, and companies must remain flexible when those suppliers have touchpoints linked to high-risk countries.

“To be nimble, you have to be informed.”

Melanie Gallagher, Head of TPRM, Intuit

“If you understand if there’s anything critical going in any of these regions or in Russia, then you need to make sure you have contingency plans and you’re doing scenario planning,” Gallagher said. “‘Do I have a backup? Is this the sole supplier? What happens if anything goes wrong here—am I prepared to deal with that?’ … You can do scenario planning, say what’s the worst thing that can happen, and think through how you would deal with that.”

For some compliance departments, the worst-case scenario is happening. The increased attention being paid to sanctions compliance combined with inflation and supply chain woes are stretching thin budgets that were likely already under-resourced.

Attached: crystal structures >
........
# 1
First-principles (PBEsol) data for a geometry-optimized LaGaPt structure, as listed in the Alexandria database.

Unit cell a=7.1551 b=4.4941 c=7.7771 alpha=90.00 beta=90.00 gamma=90.00
With the nearest neighbours (Å) after each atom.
Positions (direct):
La1 0.0239 0.2500 0.1936  5 Pt 2.95-3.22, 3 Ga 3.12-3.17
La2 0.4761 0.7500 0.6936  5 Pt 2.95-3.22, 3 Ga 3.12-3.17
La3 0.5239 0.2500 0.3064  5 Pt 2.95-3.22, 3 Ga 3.12-3.17
La4 0.9761 0.7500 0.8064  5 Pt 2.95-3.22, 3 Ga 3.12-3.17
Ga1 0.1614 0.2500 0.5745  4 Pt 2.66-2.71
Ga2 0.3386 0.7500 0.0745  4 Pt 2.66-2.71
Ga3 0.6614 0.2500 0.9255  4 Pt 2.66-2.71
Ga4 0.8386 0.7500 0.4255  4 Pt 2.66-2.71
Pt1 0.2168 0.7500 0.3990  4 Ga 2.66-2.71, 1 La 2.95
Pt2 0.2832 0.2500 0.8990  4 Ga 2.66-2.71, 1 La 2.95
Pt3 0.7168 0.7500 0.1010  4 Ga 2.66-2.71, 1 La 2.95
Pt4 0.7832 0.2500 0.6010  4 Ga 2.66-2.71, 1 La 2.95

## Properties
V, Å³ per atom: 20.84
Total DFT energy (no corrections), eV/f.u.: -18.760
Space-group type: No. 62
Formation enthalpy at 0 K, eV per formula unit: -3.11

# 2
First-principles (PBEsol) data for a geometry-optimized RbLaGaRe2 structure, as listed in the Alexandria database.

Unit cell a=4.7205 b=4.7205 c=5.3700 alpha=90.00 beta=90.00 gamma=90.00
With the nearest neighbours (Å) after each atom.
Positions (direct):
Rb1 0.0000 0.0000 0.0000  2 Ga 2.69
La1 0.5000 0.5000 0.0000  4 Rb 3.34, 8 Re 3.57
Ga1 0.0000 0.0000 0.5000  4 Re 2.36
Re1 0.0000 0.5000 0.5000  2 Ga 2.36
Re2 0.5000 0.0000 0.5000  2 Ga 2.36

## Properties
V, Å³ per atom: 23.93
Total DFT energy (no corrections), eV/f.u.: -28.863
Space-group type: No. 123
Formation enthalpy at 0 K, eV per formula unit: 7.51

# 3
First-principles (PBEsol) data for a geometry-optimized RbLa2GaTc structure, as listed in the Alexandria database.

Unit cell a=5.2904 b=5.2904 c=5.6985 alpha=90.00 beta=90.00 gamma=90.00
With the nearest neighbours (Å) after each atom.
Positions (direct):
Rb1 0.0000 0.0000 0.0000  2 Tc 2.85
La1 0.0000 0.5000 0.5000  2 Tc 2.65
La2 0.5000 0.0000 0.5000  2 Tc 2.65
Ga1 0.5000 0.5000 0.0000  4 Rb 3.74, 8 La 3.89
Tc1 0.0000 0.0000 0.5000  4 La 2.65, 2 Rb 2.85

## Properties
V, Å³ per atom: 31.90
Total DFT energy (no corrections), eV/f.u.: -23.692
Space-group type: No. 123
Formation enthalpy at 0 K, eV per formula unit: 2.63

# 4
First-principles (PBEsol) data for a geometry-optimized LaGa2Re2 structure, as listed in the Alexandria database.

Unit cell a=5.7409 b=5.7409 c=5.7409 alpha=133.53 beta=133.53 gamma=67.82
With the nearest neighbours (Å) after each atom.
Positions (direct):
La1 0.0000 0.0000 0.0000  8 Ga 3.29, 10 Re 3.40-3.61
Ga1 0.2500 0.7500 0.5000  4 Re 2.58
Ga2 0.7500 0.2500 0.5000  4 Re 2.58
Re1 0.3793 0.3793 0.0000  1 Re 2.30
Re2 0.6207 0.6207 0.0000  1 Re 2.30

## Properties
V, Å³ per atom: 19.55
Total DFT energy (no corrections), eV/f.u.: -38.819
Space-group type: No. 139
Formation enthalpy at 0 K, eV per formula unit: -0.13

# 5
........

But the silver lining, said Gallagher, is the opportunity to convince business leaders now is the time to invest in compliance. The philosophy at Intuit, she said, is being “regulator ready,” meaning demonstrating and documenting how decisions are being made and ensuring “you’ve made a reasonable effort at putting into place an effective compliance program.” Top brass at the DOJ have made no secret resource support is one of the key areas they look to in reaching their enforcement determinations.

_Calculated crystals, kept here for reference_
'''
1.
Entry from Alexandria: a relaxed Sm2HPbO crystal (GGA-PBE).

Cell: 3.8548 3.8548 7.3263 Å, 105.25 105.25 90.00°
Last column: nearest neighbours and their distance in Å.
Sites, in units of the cell vectors:
Sm  0.6552  0.6552  0.3104  2 O 2.32, 2 H 2.32
Sm  0.3448  0.3448  0.6896  2 H 2.32, 2 O 2.32
H  0.2500  0.7500  0.5000  4 Sm 2.32
Pb  0.0000  0.0000  0.0000  8 Sm 3.45, 4 Pb 3.85
O  0.7500  0.2500  0.5000  4 Sm 2.32

- E: -29.36 eV/cell
- Total moment: 0.00 μB per cell
- Space group: I-4m2, No. 119


2.
Entry from Alexandria: a relaxed TbIn2Co crystal (GGA-PBE).

Cell: 4.4160 4.4160 5.8495 Å, 67.82 67.82 60.00°
Last column: nearest neighbours and their distance in Å.
Sites, in units of the cell vectors:
Co  0.0000  0.0000  0.0000  6 In 2.68
Tb  0.5000  0.5000  0.5000  8 In 3.13-3.45
In  0.7182  0.7182  0.8454  3 Co 2.68
In  0.2818  0.2818  0.1546  3 Co 2.68

- Formation energy: -0.425 eV/f.u.
- E: -17.64 eV/cell
- Total moment: 0.80 μB per cell
- Space group: R-3m, No. 166


3.
Entry from Alexandria: a relaxed BaTlGa2 crystal (GGA-PBE).

Cell: 5.1338 5.1338 10.6614 Å, 76.07 76.07 90.00°
Last column: nearest neighbours and their distance in Å.
Sites, in units of the cell vectors:
Tl  0.0000  0.0000  0.0000  4 Ga 2.84
Tl  0.7500  0.2500  0.5000  4 Ga 2.84
Ba  0.5000  0.5000  0.0000  4 Ga 3.56, 4 Tl 3.63
Ba  0.2500  0.7500  0.5000  4 Ga 3.56, 4 Tl 3.63
Ga  0.8001  0.1250  0.2500  2 Ga 2.68, 2 Tl 2.84
Ga  0.9499  0.6250  0.2500  2 Ga 2.68, 2 Tl 2.84
Ga  0.3750  0.1999  0.7500  2 Ga 2.68, 2 Tl 2.84
Ga  0.8750  0.0501  0.7500  2 Ga 2.68, 2 Tl 2.84

- Formation energy: -0.607 eV/f.u.
- Energy relative to the lowest polymorph listed for this composition: 0.037 eV/atom
- E: -21.90 eV/cell
- Total moment: 0.00 μB per cell
- Space group: I-42d, No. 122


4.
Entry from Alexandria: a relaxed LiCa2Ta crystal (GGA-PBE).

Cell: 11.4105 11.4105 11.4105 Å, 16.59 16.59 16.59°
Last column: nearest neighbours and their distance in Å.
Sites, in units of the cell vectors:
Ca  0.0056  0.0056  0.0056  3 Ta 3.24, 6 Ca 3.29, 3 Li 3.55
Ca  0.4944  0.4944  0.4944  3 Ta 3.24, 6 Ca 3.29, 3 Li 3.55
Li  0.2500  0.2500  0.2500  6 Li 3.29, 6 Ca 3.55
Ta  0.7500  0.7500  0.7500  6 Ca 3.24, 6 Ta 3.29

- Formation energy: 2.092 eV/f.u.
- Energy relative to the lowest polymorph listed for this composition: 0.034 eV/atom
- E: -15.68 eV/cell
- Total moment: 0.00 μB per cell
- Space group: R-3m, No. 166


Q: E of number 3 (BaTlGa2)?
A: -21.90 eV/cell


Q: Which of these has the highest E?
A: LiCa2Ta


Q: The highest E belongs to which entry?
A: LiCa2Ta


What did the first record say?
Entry from Alexandria: a relaxed Sm2HPbO crystal (GGA-PBE).

Cell: 3.8548 3.8548 7.3263 Å, 105.25 105.25 90.00°
Last column: nearest neighbours and their distance in Å.
Sites, in units of the cell vectors:
Sm  0.6552  0.6552  0.3104  2 O 2.32, 2 H 2.32
Sm  0.3448  0.3448  0.6896  2 H 2.32, 2 O 2.32
H  0.2500  0.7500  0.5000  4 Sm 2.32
Pb  0.0000  0.0000  0.0000  8 Sm 3.45, 4 Pb 3.85
'''

If you can, Gallagher advised, form a risk governance committee comprised of decision-makers from various risk domains, including the chief information security officer, chief procurement officer, and chief compliance officer. “You’re sharing these risks and you’re making these decisions as quickly as possible with as much information as possible,” she said.

“To be nimble, you have to be informed,” Gallagher added.

Addressing outsourcing in onboarding

A good way to manage nth-party risk is to set terms for the scope from the start. At Intuit, Gallagher noticed the following regarding her company’s onboarding process:

“We asked at the time of onboarding, ‘Do you plan on outsourcing any of the activities related to this engagement we’re about to contract for?’ I thought, ‘Great, we have that question,’ but then I ran a report, and I think 90 percent of the answers were blank,” she said. “We ask the question, but clearly it’s not mandatory.”

Getting the answer to that question can help a business keep one hand on the steering wheel of its critical engagements. “I don’t have to allow [outsourcing],” said Gallagher. “I can say in the contract either we’re not going to permit any outsourcing or we’ll permit it but we need to be able to review and approve. … If I have a critical third party, I would want to understand how they manage their third parties.”

Yet, knowing too much is also a risk, Gallagher noted. “If you ask for information and now you have it, you’re obligated to do something about it,” she said.

In any case, working with your critical third parties to fully understand all the information you’re provided—including the names of potential fourth parties—is crucial. From that point, appropriate diligence levels can be determined.